Dear friends,
I’m not sure whether I’m sad to see summer wane or glad to see this year halfway behind us. The not-knowing-what’s-next is hard for everyone, myself included. I miss helping horses with their people. I miss the hundreds of horses I encounter in-person each year. In fact, I consider it a perk of my job and I want it back. How else does a trainer master their craft, other than working with thousands of individual horses?
When will we get back to the horse-business-as-usual? Who knows, really, but I think for large events like horse expos, it’s looking like 2021 will be a remake of what we’d planned for 2020. It’ll be like we skipped a year; sort of like suspended animation. For 2021, I’m booked at all the events I planned to attend this year, and I am looking forward to that day! See my full schedule here.
In the meantime, and maybe permanently, I’ll be doing a lot more private/small group clinics. There’s nothing quite like working with horses and their people, up-close and personal, and seeing the dynamic between them. After all, if the person could articulate to me what they were doing wrong, we could handle it on the phone. Without seeing the interaction between horse and human, I miss a lot of information that I need to help solve problems. If you think you and your horse are ready for a house call, get more info on private clinics here.
This fall, I’ll be teaching three “vacation clinics” at the renowned C Lazy U Ranch, near Granby, Colorado. This “5-Spur” guest ranch is operating at reduced capacity this summer; with almost all of the activities outside and with well-established covid precautions, they are staying safe while offering outstanding family vacations. I was there in June for a clinic I co-taught with Barbra Schulte and everyone was smart and we had a great time. While my September program at C Lazy U is full, the two October programs still have openings. So if you’re ready to venture out, this may be your ticket…
- Ranch Riding Adventure, September 17-21. Includes trail riding, daily lessons with Julie, trail obstacles and cattle work. This clinic is full for 2020; if this program fits your needs, call and ask to be on the waitlist for 2021.
- Fall Mountain Getaway, October 8-12. Join Julie Goodnight, Barbra Schulte and their husbands for a vacation for fun-loving adults. Plan your own schedule each day, choosing from a menu of activities, including lessons with Julie and Barb, incredible trail rides, plus many fun activities for riders and nonriders alike.
- Horsemanship Immersion, October 22-26. With a laboratory of over 200 horses to play with, this program is for insatiable learners of all ability levels. It involves concentrated study and hands-on practice, including riding, groundwork, conformation, behavior & training, saddle fit & bits, health & first aid.
As spokesperson for the Certified Horsemanship Association, I’m excited to be participating in their virtual conference, on Friday, October 30th. The CHA Conference is geared toward horse professionals, but is open to anyone and is often attended by non-professionals that wish to expand their knowledge. For the v-conference, I will pre-record a clinic with both English and Western riders called, “Simple and Flying Lead Changes,” (a tall order). I’ll present the video of the clinic on the 30th and answer your questions.
Calculated molecules from another source follow
'''
Record 1
Density functional theory data (ωB97M-V/def2-TZVPD) for an isolated molecule of C18H18N4OS2.

Its structure (SMILES) is Cn1c(Cc2cccs2)nnc1SCC(=O)N1CCc2ccccc21. As for the HOMO energy: -8.203 eV. The calculation puts the energy above the lowest of the compared OMol25 structures with the same formula, charge and spin at 110.4 kJ/mol. The calculation puts the total energy at -1787.3646 Eh. Its orbital gap is 8.6 eV.

Geometry as ORCA input:
```
! wB97M-V def2-TZVPD RIJCOSX def2/J DEFGRID3
* xyz 0 1
C -2.267 0.182 1.219
N -1.715 1.061 0.231
C -2.366 1.902 -0.634
C -3.844 2.049 -0.692
C -4.367 2.558 0.613
C -3.955 3.654 1.305
C -4.654 3.836 2.520
C -5.584 2.874 2.737
S -5.630 1.722 1.460
N -1.503 2.554 -1.358
N -0.269 2.171 -0.997
C -0.398 1.282 -0.052
S 0.895 0.479 0.785
C 2.239 0.769 -0.421
C 2.518 -0.511 -1.193
O 2.114 -0.655 -2.328
N 3.217 -1.460 -0.519
C 3.717 -1.317 0.846
C 4.330 -2.677 1.220
C 4.229 -3.464 -0.053
C 4.676 -4.738 -0.326
C 4.455 -5.265 -1.592
C 3.796 -4.521 -2.555
C 3.342 -3.237 -2.290
C 3.567 -2.718 -1.027
H -1.528 -0.580 1.466
H -2.522 0.737 2.126
H -3.167 -0.293 0.830
H -4.067 2.752 -1.498
H -4.310 1.089 -0.931
H -3.178 4.309 0.953
H -4.469 4.649 3.198
H -6.256 2.763 3.565
H 3.103 1.133 0.131
H 1.859 1.531 -1.102
H 2.899 -1.046 1.519
H 4.473 -0.526 0.881
H 5.364 -2.578 1.549
H 3.770 -3.163 2.022
H 5.187 -5.313 0.431
H 4.800 -6.262 -1.823
H 3.630 -4.943 -3.535
H 2.829 -2.659 -3.040
*
```



Record 2
Density functional theory data (ωB97M-V/def2-TZVPD) for a cluster of 4 separate species, C22H41BNO10 in total.

As for the HOMO energy: -12.173 eV. The calculation puts the total energy at -1694.7593 Eh. Its orbital gap is 10.1 eV.

Geometry as ORCA input:
```
! wB97M-V def2-TZVPD RIJCOSX def2/J DEFGRID3
* xyz 1 1
C 0.115 1.493 3.148
C -0.267 1.750 1.656
B 0.715 0.964 0.709
O 1.913 1.539 0.372
C 0.391 -0.506 0.190
C 0.965 -1.551 1.201
C -0.124 -2.621 1.322
N -1.365 -1.797 1.130
C -2.736 -2.464 1.255
C -2.599 -3.936 1.614
C -3.600 -2.299 -0.004
C -4.518 -1.084 0.088
C -1.085 -0.856 0.001
H 0.691 2.350 3.463
H 0.750 0.618 3.280
H -0.770 1.379 3.760
H -0.156 2.813 1.472
H -1.314 1.478 1.526
H 1.812 2.237 -0.295
H 0.969 -0.683 -0.711
H 1.205 -1.158 2.181
H 1.867 -2.025 0.839
H -0.133 -2.980 2.340
H -0.049 -3.396 0.573
H -1.325 -1.188 1.951
H -3.248 -1.955 2.062
H -3.599 -4.336 1.719
H -2.070 -4.433 0.807
H -2.091 -4.081 2.559
H -3.018 -2.315 -0.920
H -4.243 -3.169 -0.042
H -3.987 -0.147 0.220
H -5.160 -1.222 0.953
H -5.184 -1.025 -0.763
H -1.137 -1.454 -0.901
H -1.736 0.000 0.005
C 5.363 5.339 2.855
C 4.037 5.263 3.570
C 3.671 3.889 4.087
O 2.235 3.926 4.050
C 1.878 4.800 3.074
O 0.776 4.898 2.635
O 2.942 5.521 2.668
H 6.159 4.935 3.481
H 5.326 4.781 1.919
H 5.610 6.371 2.610
H 3.989 6.005 4.371
H 4.020 3.702 5.099
H 4.016 3.089 3.427
C -2.027 -6.824 -4.164
C -1.478 -6.898 -2.761
C -2.408 -6.380 -1.686
O -1.479 -5.921 -0.686
C -0.333 -5.577 -1.325
O 0.540 -4.942 -0.820
O -0.345 -6.015 -2.595
H -2.997 -7.317 -4.222
'''
If you’re an English rider interested in bringing your horse and riding with me at my ranch in Salida, Colorado, please contact info@juliegoodnight.com.
Enjoy the ride,